### Brief
Your job: reproduce only the last part of the lines further below, starting with the line that has "-0.2915 -1.9".
### File
********
Record 1
Below is a single C4H7NO molecule, with properties calculated with ωB97M-V with the def2-TZVPD basis set.

## Properties
- orbital gap (eV) = 10.46
- relative energy (zero: lowest compared OMol25 entry of this formula, charge and spin) (kJ/mol) = 194.4
- LUMO (Ha) = 0.033
- SMILES = C=C(C)NC=O

Structure (XYZ):
```
13
Properties=species:S:1:pos:R:3:forces:R:3:mulliken_charge:R:1
C 1.4451 -0.3918 0.1855 0.5 -0.6 0.0 -1.12
N -1.1495 -0.1263 0.5738 2.2 0.4 -1.9 -0.20
C 0.2033 0.3849 -0.1027 -2.1 1.2 2.9 0.65
C -1.5129 -1.2328 -0.0837 1.7 -1.0 -1.4 0.05
C 0.2099 1.6511 -0.5193 -0.2 -0.1 0.8 -0.94
O -0.6762 -1.7331 -0.8568 -2.1 -0.1 0.7 -0.57
H -1.8338 0.4120 1.0904 0.5 0.4 -0.3 0.24
H -2.5210 -1.6358 0.0740 0.1 -0.1 0.2 0.37
H 1.9604 -0.6125 -0.7546 -0.1 0.0 0.1 0.27
H 2.1426 0.1643 0.8186 -0.2 0.2 -0.1 0.36
H 1.2954 -1.3550 0.6768 -0.3 0.2 -0.1 0.31
H -0.6891 2.2433 -0.6314 -0.1 -0.2 0.0 0.32
H 1.1256 2.2317 -0.4707 0.2 -0.4 -0.8 0.27
```
Forces are in eV/Å.


Record 2
Below is a 2-piece molecular cluster, C11H10BrNO2 overall, with properties calculated with ωB97M-V with the def2-TZVPD basis set.

## Properties
- orbital gap (alpha / beta) (eV) = 5.73 / 8.08
- relative energy (zero: lowest compared OMol25 entry of this formula, charge and spin) (kJ/mol) = 0.0
- 2S+1 = 3
- <S²> = 2.05
- LUMO (alpha / beta) (Ha) = 0.025 / -0.008

Structure (XYZ):
```
25
Properties=species:S:1:pos:R:3:forces:R:3:mulliken_charge:R:1
C 2.4059 -2.7015 0.3077 0.6 -1.6 0.0 -0.22
C 1.0175 -2.6894 0.3041 -0.5 0.5 1.5 -0.89
C 3.2280 -1.5737 0.2977 -3.0 1.0 0.1 -0.71
C 0.3426 -1.3837 0.3607 0.5 -1.6 -1.7 0.87
C 1.1607 -0.2271 0.2344 2.3 0.0 1.2 0.43
C 2.5748 -0.3358 0.3453 -0.6 -0.4 -1.0 0.02
C -1.0378 -1.1841 0.2101 0.1 0.7 0.8 -1.18
C -1.6025 0.1063 0.2018 1.8 1.7 1.9 -0.03
C -1.5685 0.5528 -2.1304 0.1 -0.7 1.7 -0.03
C -0.7528 1.2245 0.2681 -0.6 -2.9 1.0 -0.01
C -2.4201 2.8352 0.5532 2.4 -1.7 1.1 -0.83
N 0.6119 1.0297 0.2013 -1.5 0.3 -0.5 0.14
O -1.1810 -0.4782 -2.4755 0.8 -1.8 -1.6 -0.32
O -1.0503 2.5000 0.2457 0.1 1.2 -0.8 -0.52
Br 3.6928 1.2185 0.1364 -0.5 -0.2 0.2 -0.23
H 2.8947 -3.6983 0.3338 -0.3 0.8 -0.1 0.29
H 0.4838 -3.6888 0.5187 0.6 2.0 -0.7 0.24
H 4.2519 -1.5246 0.1725 1.9 -0.6 0.0 0.45
H -1.7968 -1.9168 0.2361 -0.1 -1.4 0.0 0.44
H -2.6312 0.1166 0.4844 -0.7 0.6 -0.4 0.48
H -1.9164 1.3488 -2.6758 -1.1 2.5 -2.3 0.39
H -2.4947 2.2385 1.4853 -1.3 0.7 -0.3 0.36
H -3.0132 2.4872 -0.2657 -0.9 0.1 -0.2 0.26
H -2.3026 3.8776 0.7095 -0.9 0.9 0.1 0.33
H 1.1032 1.8662 -0.0593 0.7 -0.2 0.1 0.29
```
Forces are in eV/Å.


Record 3
Below is a single C2H3N3OS molecule, with properties calculated with ωB97M-V with the def2-TZVPD basis set.

## Properties
- orbital gap (eV) = 9.27
- relative energy (zero: lowest compared OMol25 entry of this formula, charge and spin) (kJ/mol) = 527.8
- LUMO (Ha) = -0.004
- SMILES = [H]/N=c1\cnon1S

Structure (XYZ):
```
10
Properties=species:S:1:pos:R:3:forces:R:3:mulliken_charge:R:1
C 1.7283 -0.2047 -0.3862 2.0 -4.9 2.4 -0.12
C 0.7353 0.7863 0.0582 1.0 -3.5 -0.9 0.50
H -2.7201 0.7675 0.8559 1.9 -1.6 -2.4 0.19
H 2.9443 -0.2566 -0.3660 -3.2 1.0 -0.7 0.30
H 1.9770 2.1570 -0.3792 -3.8 -0.2 2.2 0.27
N -0.3645 0.0205 0.4926 -1.2 -1.3 -0.3 0.03
N 1.3325 -1.4401 -0.0715 -0.7 2.1 -1.0 -0.22
N 0.9371 1.9890 0.1703 3.3 3.9 -1.8 -0.63
O -0.0269 -1.4433 0.2976 2.5 2.1 0.1 -0.15
S -1.8814 0.0877 -0.2915 -1.9 2.3 2.4 -0.15
```
Forces are in eV/Å.


Record 4
Below is C25H40AsBrF6N8O4SSi2Ta as an isolated structure, with properties calculated with ωB97M-V with the def2-TZVPD basis set.

## Properties
- orbital gap (alpha / beta) (eV) = 7.09 / 6.40
- relative energy (zero: lowest compared OMol25 entry of this formula, charge and spin) (kJ/mol) = 82.5
- 2S+1 = 2
- <S²> = 0.77
- LUMO (alpha / beta) (Ha) = -0.026 / -0.073

Structure (XYZ):
```
89
Properties=species:S:1:pos:R:3:forces:R:3:mulliken_charge:R:1
Ta 0.1926 0.2887 -0.3538 0.0 0.0 0.1 1.45
C 4.5840 0.0159 0.9003 0.0 0.0 0.0 -1.32
Si 2.9360 -0.1862 1.7622 0.0 0.0 0.0 1.16
********
### Completed
S -1.8814 0.0877 -0.2915 -1.9 2.3 2.4 -0.15
```
Forces are in eV/Å.


Record 4
Below is C25H40AsBrF6N8O4SSi2Ta as an isolated structure, with properties calculated with ωB97M-V with the def2-TZVPD basis set.

## Properties
- orbital gap (alpha / beta) (eV) = 7.09 / 6.40
- relative energy (zero: lowest compared OMol25 entry of this formula, charge and spin) (kJ/mol) = 82.5
- 2S+1 = 2
- <S²> = 0.77
- LUMO (alpha / beta) (Ha) = -0.026 / -0.073

Structure (XYZ):
```
89
Properties=species:S:1:pos:R:3:forces:R:3:mulliken_charge:R:1
Ta 0.1926 0.2887 -0.3538 0.0 0.0 0.1 1.45
C 4.5840 0.0159 0.9003 0.0 0.0 0.0 -1.32
Si 2.9360 -0.1862 1.7622 0.0 0.0 0.0 1.16